**Request:**
Could you duplicate the part of the data further below that starts with the line with "0.216" and stops after the one with "-3.630 4.203"?

**File:**
=====
Record 1
The following is a DFT calculation (wB97M-V/def2-TZVPD) of a structure of composition C30H25CdN5OS5.

```
67
Properties=species:S:1:pos:R:3:forces:R:3:nbo_charge:R:1
Cd -0.315 0.331 0.572 0.261 -0.356 0.094 1.705
C 2.463 -4.333 -2.197 -0.017 0.039 -0.041 -0.768
S 2.648 -2.552 -2.391 0.055 -0.042 -0.044 0.284
C 2.135 -1.868 -0.846 0.201 0.146 0.280 -0.084
S 1.369 -2.747 0.373 -0.217 0.064 -0.012 -0.351
N 2.520 -0.608 -0.811 -0.146 -0.010 -0.368 -0.431
N 1.902 0.215 0.058 0.203 -0.105 0.136 -0.339
C 2.600 1.203 0.479 -0.124 0.128 0.101 0.009
C 2.011 2.283 1.277 0.046 -0.049 -0.054 0.163
C 2.790 3.390 1.594 0.098 0.050 0.002 -0.229
C 2.221 4.449 2.276 0.037 0.057 0.014 -0.164
C 0.884 4.379 2.628 0.029 0.027 0.010 -0.206
C 0.182 3.237 2.293 -0.035 -0.164 0.039 0.054
N 0.724 2.204 1.647 -0.031 0.079 -0.049 -0.543
H 3.432 -4.809 -2.336 -0.004 -0.023 0.009 0.218
H 1.759 -4.703 -2.939 0.003 -0.022 0.030 0.218
H 2.081 -4.537 -1.199 0.001 -0.020 -0.007 0.260
H 3.644 1.270 0.190 0.028 0.052 0.003 0.201
H 3.827 3.411 1.287 -0.010 0.016 0.000 0.227
H 2.810 5.325 2.517 0.003 -0.020 -0.004 0.223
H 0.384 5.192 3.137 0.015 -0.041 -0.012 0.224
H -0.866 3.155 2.549 -0.067 -0.031 -0.034 0.210
N -0.139 -0.979 2.817 -0.263 -0.006 -0.176 -0.898
C -1.428 -1.498 3.063 0.134 -0.033 0.000 0.154
C -1.960 -1.658 4.313 -0.026 -0.030 0.093 -0.258
C -3.248 -2.215 4.488 0.051 0.018 0.010 -0.191
C -3.992 -2.618 3.418 0.030 0.000 -0.046 -0.200
C -3.485 -2.431 2.109 -0.044 -0.086 -0.012 -0.096
C -4.194 -2.789 0.939 -0.033 0.004 0.059 -0.117
C -3.646 -2.557 -0.288 0.011 -0.040 -0.033 -0.249
C -2.397 -1.911 -0.361 0.045 -0.008 0.040 0.101
N -1.718 -1.561 0.703 -0.212 0.038 0.004 -0.560
C -2.222 -1.843 1.933 0.122 -0.043 -0.092 0.204
H 0.400 -1.569 2.168 0.055 -0.010 0.094 0.429
H 0.392 -0.837 3.665 0.004 0.099 0.002 0.391
H -1.372 -1.382 5.181 -0.019 -0.034 0.003 0.215
H -3.632 -2.343 5.492 0.015 0.004 0.002 0.220
H -4.964 -3.076 3.551 0.005 0.016 -0.001 0.216
H -5.178 -3.234 1.035 0.032 -0.017 -0.006 0.220
H -4.164 -2.825 -1.198 0.014 0.018 0.012 0.229
H -1.957 -1.658 -1.318 -0.029 0.052 -0.010 0.219
O -1.516 1.192 -0.901 0.114 -0.296 -0.338 -1.002
C -2.610 1.978 -0.654 -0.073 0.168 0.139 0.148
C -3.468 2.046 -1.922 0.049 0.032 0.055 -0.213
C -3.663 1.034 -2.810 -0.062 -0.071 -0.086 -0.247
C -4.554 1.380 -3.866 0.083 -0.056 0.061 -0.256
C -5.009 2.658 -3.758 0.006 0.022 0.014 -0.430
S -4.354 3.443 -2.388 -0.022 0.058 0.086 0.461
C -3.457 1.416 0.501 -0.188 0.360 0.009 -0.202
C -3.074 1.231 1.799 -0.091 -0.001 0.055 -0.296
C -4.117 0.758 2.643 -0.011 0.098 -0.029 -0.263
C -5.288 0.604 1.964 0.065 0.035 0.028 -0.435
S -5.116 1.023 0.317 -0.034 -0.016 -0.075 0.490
C -2.143 3.392 -0.292 -0.127 -0.039 0.051 -0.206
C -2.711 4.355 0.488 0.028 0.096 0.044 -0.282
C -1.965 5.573 0.492 -0.084 -0.055 0.047 -0.271
C -0.850 5.495 -0.287 -0.041 -0.001 -0.042 -0.436
S -0.698 3.960 -1.026 0.073 -0.063 -0.068 0.492
H -3.168 0.078 -2.709 0.001 0.031 -0.006 0.228
H -4.830 0.712 -4.670 0.003 0.017 0.014 0.220
H -5.679 3.189 -4.417 0.026 -0.041 0.009 0.235
H -2.073 1.434 2.158 0.035 0.082 0.080 0.203
H -3.996 0.545 3.697 0.000 -0.004 -0.085 0.228
H -6.238 0.259 2.344 0.040 0.001 0.003 0.236
H -3.630 4.203 1.039 0.026 -0.010 -0.025 0.233
H -2.249 6.456 1.048 0.005 -0.027 -0.020 0.220
H -0.111 6.261 -0.469 -0.040 -0.034 0.042 0.235
```
Positions in Å, forces in eV/Å.

Output
- M: 744.3 g mol⁻¹
- Relative energy (zero: lowest compared OMol25 entry of this formula, charge and spin): 0.0 kcal per mole
- Energy: -99754.4724 eV
- HOMO: -7.54 eV

***

Record 2
The following is a DFT calculation (wB97M-V/def2-TZVPD) of a structure of composition C30H25Cl6N2O3Pb.

```
67
Properties=species:S:1:pos:R:3:forces:R:3:nbo_charge:R:1
Pb 0.094 -0.031 0.293 -0.084 0.038 0.066 1.765
C -0.262 -4.155 1.920 0.022 -0.020 -0.002 -0.599
C -1.387 -3.123 1.856 -0.044 0.003 0.022 -0.402
C -2.213 -3.208 0.598 -0.030 -0.015 -0.021 -0.010
C -3.443 -3.853 0.617 0.008 0.006 -0.010 -0.195
=====

**Worked solution:**
H -4.964 -3.076 3.551 0.005 0.016 -0.001 0.216
H -5.178 -3.234 1.035 0.032 -0.017 -0.006 0.220
H -4.164 -2.825 -1.198 0.014 0.018 0.012 0.229
H -1.957 -1.658 -1.318 -0.029 0.052 -0.010 0.219
O -1.516 1.192 -0.901 0.114 -0.296 -0.338 -1.002
C -2.610 1.978 -0.654 -0.073 0.168 0.139 0.148
C -3.468 2.046 -1.922 0.049 0.032 0.055 -0.213
C -3.663 1.034 -2.810 -0.062 -0.071 -0.086 -0.247
C -4.554 1.380 -3.866 0.083 -0.056 0.061 -0.256
C -5.009 2.658 -3.758 0.006 0.022 0.014 -0.430
S -4.354 3.443 -2.388 -0.022 0.058 0.086 0.461
C -3.457 1.416 0.501 -0.188 0.360 0.009 -0.202
C -3.074 1.231 1.799 -0.091 -0.001 0.055 -0.296
C -4.117 0.758 2.643 -0.011 0.098 -0.029 -0.263
C -5.288 0.604 1.964 0.065 0.035 0.028 -0.435
S -5.116 1.023 0.317 -0.034 -0.016 -0.075 0.490
C -2.143 3.392 -0.292 -0.127 -0.039 0.051 -0.206
C -2.711 4.355 0.488 0.028 0.096 0.044 -0.282
C -1.965 5.573 0.492 -0.084 -0.055 0.047 -0.271
C -0.850 5.495 -0.287 -0.041 -0.001 -0.042 -0.436
S -0.698 3.960 -1.026 0.073 -0.063 -0.068 0.492
H -3.168 0.078 -2.709 0.001 0.031 -0.006 0.228
H -4.830 0.712 -4.670 0.003 0.017 0.014 0.220
H -5.679 3.189 -4.417 0.026 -0.041 0.009 0.235
H -2.073 1.434 2.158 0.035 0.082 0.080 0.203
H -3.996 0.545 3.697 0.000 -0.004 -0.085 0.228
H -6.238 0.259 2.344 0.040 0.001 0.003 0.236
H -3.630 4.203 1.039 0.026 -0.010 -0.025 0.233